What is a Treaty

A treaty is an agreement between two or more governments, in our case between the Ktunaxa Nation, Canada and British Columbia.

The last of the historic treaties were signed in Canada by the early 1920s. Most of these treaties were signed with First Nations east of the Rocky Mountains.

By 1927 the federal government made it a criminal offence for a First Nation to hire a lawyer to pursue land claims settlements. Consequently, treaties have never been concluded with First Nations in some parts of Canada, including most of those in British Columbia.

Why Are Treaties Being Negotiated In B.C.?

There are political and economic needs in B.C. to negotiate treaties with First Nations. Aboriginal demands for recognition of rights and title over the past few decades have gained political and public support as a result of First Nation’s activism and court judgments upholding aboriginal rights and title.

Economic Factors

The economic cost of not negotiating treaties in B.C. is clear. First Nations’ demands for recognition of rights and title and court cases can delay resource development projects pending settlement of disputes over rights and title. As early as 1990 Price Waterhouse stated the cost to B.C. of not settling land claims was $1 billion in lost investment and 1,500 jobs a year in the mining and forestry sectors alone.

Legal Factors

Since 1973, a series of judgements have supported aboriginal rights and title, three of the most significant being:

1982 – Constitution Act, Section 35
Canada’s supreme law states: “The existing Aboriginal and treaty rights of the Aboriginal peoples of Canada are hereby recognized and affirmed.” The Constitution did not create or define aboriginal rights. Rather, it “recognized and affirmed” existing aboriginal rights.

• What comes next are data records, not part of the page:
<<<
PBE-GGA EuAlZnHg, optimized geometry; M_tot = 6.84 μB/f.u.; total energy = -4.148 eV/atom; energy of formation from the pure elements = -0.25 eV/atom
1.0
5.001 0.000 0.000
2.501 4.331 0.000
2.501 1.444 4.084
Eu Zn Hg Al
1 1 1 1
Direct
0.250 0.250 0.250
0.000 0.000 0.000
0.500 0.500 0.500
0.750 0.750 0.750

PBE-GGA Tb2Nd3Er6Pu, optimized geometry; M_tot = 6.49 μB/f.u.; total energy = -5.398 eV/atom; energy of formation from the pure elements = 0.04 eV/atom
1.0
6.158 -0.001 -0.012
-3.079 5.333 -0.012
-1.004 -1.739 11.492
Tb Nd Er Pu
2 3 6 1
Direct
0.333 0.667 0.000
0.667 0.333 0.000
0.167 0.833 0.500
0.833 0.167 0.500
0.500 0.500 0.500
0.918 0.589 0.755
0.753 0.753 0.245
0.082 0.411 0.245
0.589 0.918 0.755
0.247 0.247 0.755
0.411 0.082 0.245
0.000 0.000 0.000

PBE-GGA BaScS2N, optimized geometry; M_tot = 1.98 μB/f.u.; uncorrected formation energy = -5.63 eV/f.u.; excess energy over the best structure of this formula in the dataset = 0 meV per atom; total energy = -6.093 eV/atom
1.0
-0.077 5.111 0.290
-4.627 -0.193 2.182
1.848 -0.194 3.902
Sc S Ba N
1 2 1 1
Direct
0.000 0.000 0.000
0.000 0.500 0.000
0.500 0.000 0.000
0.500 0.500 0.500
0.000 0.000 0.500

PBE-GGA LiTi4Bi2, optimized geometry; M_tot = 0.69 μB/f.u.; total energy = -5.567 eV/atom; energy of formation from the pure elements = 0.33 eV/atom
1.0
-3.268 -0.252 2.906
-1.602 -3.492 -2.104
1.651 -6.285 4.613
Li Bi Ti
1 2 4
Direct
0.000 0.000 0.000
0.642 0.642 0.717
0.358 0.358 0.283
0.838 0.838 0.324
0.162 0.162 0.676
0.000 0.500 0.000
0.500 0.000 0.000

PBE-GGA BaNaLi2Rh, optimized geometry; M_tot = 0.00 μB/f.u.; total energy = -2.749 eV/atom; energy of formation from the pure elements = 0.14 eV/atom
1.0
-3.391 2.255 -3.295
-3.188 -4.133 0.452
-2.574 2.459 4.331
Na Rh Ba Li
1 1 1 2
Direct
0.500 0.500 0.500
0.000 0.000 0.000
0.000 0.000 0.500
0.000 0.500 0.000
0.500 0.000 0.000

PBE-GGA Ca2LaMn, optimized geometry; M_tot = 3.08 μB/f.u.; excess energy over the best structure of this formula in the dataset = 90 meV per atom; total energy = -4.242 eV/atom; energy of formation from the pure elements = 0.28 eV/atom
1.0
6.983 -0.661 0.087
4.325 5.522 -0.087
-5.178 -3.538 3.143
Ca Mn La
2 1 1
Direct
0.045 0.045 0.000
0.455 0.455 0.000
0.250 0.750 0.500
0.750 0.250 0.500

PBE-GGA Nb2SiGeC, optimized geometry; M_tot = 0.00 μB/f.u.; uncorrected formation energy = 10.99 eV/f.u.; total energy = -5.683 eV/atom
1.0
4.827 0.000 0.000
0.000 4.292 0.000
0.000 0.000 4.827
C Nb Si Ge
1 2 1 1
Direct
0.500 0.500 0.500
0.000 0.000 0.500
0.500 0.000 0.000
0.000 0.500 0.000
0.000 0.000 0.000

PBE-GGA HoNi6Sn6, optimized geometry; M_tot = 0.00 μB/f.u.; total energy = -5.176 eV/atom; energy of formation from the pure elements = -0.31 eV/atom
1.0
-5.290 -0.436 -1.248
-3.307 -4.792 3.777
-4.093 3.812 4.108
Ho Ni Sn
1 6 6
Direct
0.000 0.000 0.000
0.000 0.500 0.000
0.500 0.500 0.000
0.000 0.000 0.500
0.500 0.000 0.500
0.500 0.750 0.250
0.500 0.250 0.750
0.335 0.665 0.665
0.665 0.335 0.335
0.000 0.336 0.664
0.000 0.664 0.336
>>>

1997 – Delgamuukw Supreme Court Judgment
The landmark Delgamuukw decision confirmed that aboriginal title is a right to the land itself – not just the right to hunt, fish and gather. Delgamuukw confirmed that aboriginal title was never extinguished in BC and therefore still exists; it is a burden on Crown title; and when dealing with Crown land the government must consult with and may have to compensate First Nations whose rights are affected.

2004 – Haida Nation Supreme Court Judgment
The Haida decision grounded the duty to consult in the honour of the Crown, and noted that the duty is a necessary part of an “honourable reconciliation process” demanded by the Constitution. The Crown must act honourably, and so cannot simply use resources “as it chooses,” or “run roughshod over aboriginal interests.” The Court noted that “Canada’s aboriginal peoples were here when Europeans came, and were never conquered.” The honour of the Crown requires it to negotiate with aboriginal peoples to determine, recognize and respect aboriginal rights and title. The Crown’s duty to consult is related to the duty to negotiate treaties or other agreements with aboriginal peoples with respect to their rights and title. The honour of the Crown may require consultation and accommodation to avoid harming aboriginal interests while negotiations take place. While the Court held that the duty to consult and accommodate is not a “fiduciary duty”, it held that the Crown must respect potential, unproven rights which are protected by the Constitution. Government must consult in good faith. This consultation with First Nations must be meaningful and cannot be delegated to third parties.

These judgements have confirmed aboriginal title as a right protected under the Canadian Constitution. They have also confirmed that it is the duty of the Crown to recognize and protect aboriginal rights, title and interests.

What will Treaties Accomplish?

Treaties will clearly set out the land rights, obligations and authorities of First Nations in relation to other governments.

Treaties will enhance First Nations’ opportunities for economic development, self-government and self-reliance, and cultural and social well-being.

Treaties will create certainty over the use and management of lands and resources that will lead to a more stable climate for business and investment.